# Input
=====
Entry 1:
The ion C22H44N5O13 with charge +1. Source: OMol25; level of theory: ωB97M-V/def2-TZVPD.

Bonds (Å) are listed after each position.
Geometry (Å):
1 N 0.525 -4.255 -1.427  C2 1.477, H41 1.018, H42 1.018
2 C 1.993 -4.267 -1.591  N1 1.477, C3 1.536, H43 1.091, H44 1.095
3 C 2.463 -3.439 -2.796  C2 1.536, C4 1.544, H45 1.089, H46 1.090
4 C 3.135 -2.108 -2.395  C3 1.544, O5 1.404, C6 1.527, H47 1.098
5 O 4.203 -2.400 -1.533  C4 1.404, H48 0.965
6 C 2.056 -1.257 -1.730  C4 1.527, O7 1.232, N8 1.330
7 O 1.046 -0.929 -2.353  C6 1.232
8 N 2.275 -1.024 -0.439  C6 1.330, C9 1.451, H49 1.019
9 C 1.371 -0.451 0.541  N8 1.451, C10 1.544, C28 1.538, H50 1.093
10 C 0.362 -1.504 1.048  C9 1.544, C11 1.527, H51 1.090, H52 1.091
11 C -1.001 -1.474 0.362  C10 1.527, N12 1.475, C13 1.548, H53 1.096
12 N -0.921 -1.979 -1.021  C11 1.475, H54 1.074, H55 1.054, H56 1.082
13 C -1.643 -0.066 0.399  C11 1.548, O14 1.418, C26 1.538, H57 1.097
14 O -2.775 -0.090 1.253  C13 1.418, C15 1.418
15 C -3.948 0.428 0.648  O14 1.418, O16 1.395, C24 1.538, H58 1.098
16 O -4.230 -0.247 -0.540  C15 1.395, C17 1.424
17 C -4.467 -1.637 -0.346  O16 1.424, C18 1.524, C20 1.529, H59 1.098
18 C -4.512 -2.298 -1.718  C17 1.524, N19 1.470, H60 1.090, H61 1.094
19 N -3.248 -2.008 -2.410  C18 1.470, H62 1.016, H63 1.018
20 C -5.723 -1.851 0.498  C17 1.529, O21 1.401, C22 1.538, H64 1.100
21 O -5.922 -3.230 0.651  C20 1.401, H65 0.966
22 C -5.490 -1.169 1.857  C20 1.538, O23 1.403, C24 1.540, H66 1.105
23 O -6.666 -1.287 2.611  C22 1.403, H67 0.966
24 C -5.097 0.307 1.663  C15 1.538, C22 1.540, O25 1.399, H68 1.096
25 O -4.780 0.906 2.886  C24 1.399, H69 0.966
26 C -0.655 1.033 0.825  C13 1.538, O27 1.400, C28 1.547, H70 1.100
27 O -1.240 2.262 0.498  C26 1.400, H71 0.969
28 C 0.655 0.812 0.032  C9 1.538, C26 1.547, O29 1.414, H72 1.095
29 O 1.468 1.969 0.015  C28 1.414, C30 1.405
30 C 2.164 2.345 1.176  O29 1.405, O31 1.400, C39 1.546, H73 1.099
31 O 3.367 1.643 1.320  C30 1.400, C32 1.427
32 C 4.241 1.830 0.208  O31 1.427, C33 1.530, C35 1.530, H74 1.099
33 C 5.448 0.908 0.389  C32 1.530, O34 1.413, H75 1.093, H76 1.091
34 O 5.049 -0.440 0.530  C33 1.413, H77 0.963
35 C 4.649 3.301 0.104  C32 1.530, O36 1.398, C37 1.538, H78 1.104
36 O 5.511 3.453 -0.986  C35 1.398, H79 0.968
37 C 3.389 4.166 -0.073  C35 1.538, N38 1.448, C39 1.542, H80 1.099
38 N 3.799 5.551 -0.176  C37 1.448, H81 1.014, H82 1.015
39 C 2.377 3.871 1.052  C30 1.546, C37 1.542, O40 1.404, H83 1.095
40 O 1.141 4.498 0.829  C39 1.404, H84 0.967
41 H 0.285 -4.918 -0.694  N1 1.018
42 H 0.107 -4.610 -2.284  N1 1.018
43 H 2.440 -3.872 -0.677  C2 1.091
44 H 2.353 -5.295 -1.710  C2 1.095
45 H 3.200 -4.011 -3.357  C3 1.089
46 H 1.624 -3.212 -3.454  C3 1.090
47 H 3.468 -1.605 -3.312  C4 1.098
48 H 4.818 -1.660 -1.462  O5 0.965
49 H 3.202 -1.290 -0.110  N8 1.019
50 H 2.001 -0.157 1.384  C9 1.093
51 H 0.195 -1.345 2.113  C10 1.090
52 H 0.804 -2.495 0.931  C10 1.091
53 H -1.661 -2.143 0.925  C11 1.096
54 H -0.401 -2.916 -1.086  N12 1.074
55 H -0.306 -1.352 -1.604  N12 1.054
56 H -1.884 -2.050 -1.510  N12 1.082
57 H -1.982 0.202 -0.609  C13 1.097
58 H -3.789 1.478 0.367  C15 1.098
59 H -3.632 -2.075 0.216  C17 1.098
60 H -4.616 -3.373 -1.574  C18 1.090
61 H -5.382 -1.928 -2.270  C18 1.094
62 H -3.199 -2.546 -3.270  N19 1.016
63 H -3.261 -1.024 -2.670  N19 1.018
64 H -6.589 -1.379 0.011  C20 1.100
65 H -6.617 -3.345 1.313  O21 0.966
66 H -4.660 -1.689 2.370  C22 1.105
67 H -6.641 -0.630 3.319  O23 0.966
68 H -5.965 0.848 1.268  C24 1.096
69 H -3.888 0.635 3.136  O25 0.966
70 H -0.475 0.969 1.909  C26 1.100
71 H -0.649 2.984 0.760  O27 0.969
72 H 0.392 0.709 -1.026  C28 1.095
73 H 1.589 2.123 2.086  C30 1.099
74 H 3.711 1.547 -0.712  C32 1.099
75 H 6.033 1.234 1.253  C33 1.093
76 H 6.068 0.979 -0.505  C33 1.091
77 H 4.775 -0.565 1.445  O34 0.963
78 H 5.153 3.593 1.043  C35 1.104
79 H 5.527 4.395 -1.207  O36 0.968
80 H 2.924 3.889 -1.029  C37 1.099
81 H 3.003 6.151 -0.362  N38 1.014
82 H 4.223 5.866 0.691  N38 1.015
=====

# Brief
Could you count the lines further above that contain the word "H69" and give the number alone?

# Done
1